Data
+++
This record from the Open Quantum Materials Database describes crystalline ZrInAgTe2S at its relaxed geometry. The functional is PBE-GGA.

Computed properties:
SG = Cmcm

Lattice parameters (Å, degrees): 7.775 7.775 10.305 90.00 90.00 149.39
Fractional coordinates of all 12 atoms:
Ag 0.031 0.969 0.250
Ag 0.969 0.031 0.750
In 0.767 0.233 0.250
In 0.233 0.767 0.750
S 0.434 0.566 0.250
S 0.566 0.434 0.750
Te 0.141 0.859 0.038
Te 0.141 0.859 0.462
Te 0.859 0.141 0.538
Te 0.859 0.141 0.962
Zr 0.500 0.500 0.000
Zr 0.500 0.500 0.500



This record from the Open Quantum Materials Database describes crystalline InAgWS3 at its relaxed geometry. The functional is PBE-GGA.

Computed properties:
SG = Cmcm

Lattice parameters (Å, degrees): 8.361 8.361 9.383 90.00 90.00 22.90
Fractional coordinates of all 12 atoms:
Ag 0.695 0.695 0.250
Ag 0.305 0.305 0.750
In 0.334 0.334 0.250
In 0.666 0.666 0.750
S 0.607 0.607 0.030
S 0.967 0.967 0.250
S 0.607 0.607 0.470
S 0.393 0.393 0.530
S 0.033 0.033 0.750
S 0.393 0.393 0.970
W 0.000 0.000 0.000
W 0.000 0.000 0.500



This record from the Open Quantum Materials Database describes crystalline InAg2WS6 at its relaxed geometry. The functional is PBE-GGA.

Computed properties:
SG = Fm-3m

Lattice parameters (Å, degrees): 6.907 6.907 6.907 120.00 120.00 90.00
Fractional coordinates of all 10 atoms:
Ag 0.750 0.250 0.500
Ag 0.250 0.750 0.500
In 0.500 0.500 0.000
S 0.241 0.241 0.000
S 0.759 0.241 0.000
S 0.241 0.759 0.000
S 0.759 0.759 0.000
S 0.241 0.241 0.483
S 0.759 0.759 0.517
W 0.000 0.000 0.000



This record from the Open Quantum Materials Database describes crystalline ZrInAgS3 at its relaxed geometry. The functional is PBE-GGA.

Computed properties:
energy relative to the lowest polymorph listed for this composition = 4.4 meV per atom
SG = Pnma

Lattice parameters (Å, degrees): 3.703 12.017 12.302 90.00 90.00 90.00
Fractional coordinates of all 24 atoms:
Ag 0.250 0.887 0.193
Ag 0.750 0.387 0.307
Ag 0.250 0.613 0.693
Ag 0.750 0.113 0.807
In 0.750 0.071 0.177
In 0.250 0.571 0.323
In 0.750 0.429 0.677
In 0.250 0.929 0.823
S 0.250 0.799 0.002
S 0.750 0.445 0.100
S 0.750 0.699 0.221
S 0.250 0.199 0.279
S 0.250 0.945 0.400
S 0.750 0.299 0.498
S 0.250 0.701 0.502
S 0.750 0.055 0.600
S 0.750 0.801 0.721
S 0.250 0.301 0.779
S 0.250 0.555 0.900
S 0.750 0.201 0.998
Zr 0.750 0.647 0.022
Zr 0.250 0.147 0.478
Zr 0.750 0.853 0.522
Zr 0.250 0.353 0.978



Number 1: uncorrected energy -4.67 eV/atom. Number 2: uncorrected energy -5.44 eV/atom. Number 3: uncorrected energy -4.32 eV/atom. Number 4: uncorrected energy -5.24 eV/atom.
+++
Work order
Repeat every line above that contains the word "parameters", please.
Worked solution
Lattice parameters (Å, degrees): 7.775 7.775 10.305 90.00 90.00 149.39
Lattice parameters (Å, degrees): 8.361 8.361 9.383 90.00 90.00 22.90
Lattice parameters (Å, degrees): 6.907 6.907 6.907 120.00 120.00 90.00
Lattice parameters (Å, degrees): 3.703 12.017 12.302 90.00 90.00 90.00